Any better?


Senior Master
Jan 20, 2009
Reaction score
San Jose
After reading Terry's post Dazed, my way of thinking, I was wondering if enrollment for others has gotten any better. Has things turned around or are you still struggling to make ends meet.

I know in our school it seems like things have turned for the better. We have tons of new white belts and we just visited a school not too far away that also had quite a few newer white belts.

Even when times were bad we kept our core group of students even though we lost quite a bit. But recently we have gotten an influx of new students and even a few past students have returned.

Just wondering how everyone else is doing and what others see.
Enrollment at my main dojo has remained steady, but profitability is not really an objective there.

In spite of the current economy, I'm considering and negotiating an opportunity to teach martial arts through a corporate wellness program, and that opportunity would likely be a money-maker with plenty of new students at another venue. Might even give me the chance to just teach MA for a living which is something I never thought could be possible for me.
Enrollment at my main dojo has remained steady, but profitability is not really an objective there.

In spite of the current economy, I'm considering and negotiating an opportunity to teach martial arts through a corporate wellness program, and that opportunity would likely be a money-maker with plenty of new students at another venue. Might even give me the chance to just teach MA for a living which is something I never thought could be possible for me.
Congrats on the corp wellness gig. I may do something similar here at my job. Our wellness program rotates though so I would only get to do a 4 week program then it is off to something else for many of them. Good way to get people exposed to many different options then let them choose to join or do what they feel they like.

### Unrelated to this entry: data records
Here is a relaxed structure of TbTm6Mg12 from the Alexandria database. Energies are from PBE-GGA.

a = 8.716 Å, b = 8.716 Å, c = 8.716 Å
α = 106.46°, β = 106.46°, γ = 106.46°
Fractional positions:
Tb (0.000, 0.000, 0.000)
Tm (0.715, 0.313, 0.313)
Tm (0.313, 0.313, 0.715)
Tm (0.313, 0.715, 0.313)
Tm (0.687, 0.687, 0.285)
Tm (0.285, 0.687, 0.687)
Tm (0.687, 0.285, 0.687)
Mg (0.893, 0.107, 0.500)
Mg (0.883, 0.657, 0.657)
Mg (0.657, 0.657, 0.883)
Mg (0.343, 0.117, 0.343)
Mg (0.343, 0.343, 0.117)
Mg (0.117, 0.343, 0.343)
Mg (0.107, 0.500, 0.893)
Mg (0.500, 0.893, 0.107)
Mg (0.107, 0.893, 0.500)
Mg (0.893, 0.500, 0.107)
Mg (0.500, 0.107, 0.893)
Mg (0.657, 0.883, 0.657)

## Properties
Total DFT energy (no corrections)   -2.35 eV per atom

Here is a relaxed structure of SiSnP2 from the Alexandria database. Energies are from PBE-GGA.

a = 4.644 Å, b = 4.644 Å, c = 4.644 Å
α = 60.00°, β = 60.00°, γ = 60.00°
Fractional positions:
P (0.250, 0.250, 0.250)
P (0.750, 0.750, 0.750)
Si (0.000, 0.000, 0.000)
Sn (0.500, 0.500, 0.500)

## Properties
Excess energy over the best structure of this formula in the dataset   0.498 eV per atom
Raw formation energy   2.18 eV per formula unit

Here is a relaxed structure of SmScGaAg from the Alexandria database. Energies are from PBE-GGA.

a = 5.032 Å, b = 5.032 Å, c = 5.032 Å
α = 60.00°, β = 60.00°, γ = 60.00°
Fractional positions:
Sc (0.500, 0.500, 0.500)
Ga (0.750, 0.750, 0.750)
Ag (0.250, 0.250, 0.250)
Sm (0.000, 0.000, 0.000)

## Properties
Total DFT energy (no corrections)   -4.65 eV per atom

Here is a relaxed structure of Ag2RuCl from the Alexandria database. Energies are from PBE-GGA.

a = 6.787 Å, b = 6.787 Å, c = 6.787 Å
α = 155.11°, β = 140.71°, γ = 47.07°
Fractional positions:
Ag (0.082, 0.082, 0.000)
Ag (0.716, 0.216, 0.500)
Cl (0.424, 0.424, 0.000)
Ru (0.278, 0.778, 0.500)

## Properties
Excess energy over the best structure of this formula in the dataset   0.061 eV per atom
Raw formation energy   1.50 eV per formula unit

Here is a relaxed structure of Ca2AlZnAg6 from the Alexandria database. Energies are from PBE-GGA.

a = 6.955 Å, b = 6.955 Å, c = 6.950 Å
α = 60.04°, β = 60.04°, γ = 90.03°
Fractional positions:
Ca (0.250, 0.750, 0.500)
Ca (0.750, 0.250, 0.500)
Al (0.500, 0.500, 0.000)
Zn (0.000, 0.000, 0.000)
Ag (0.250, 0.750, 0.000)
Ag (0.750, 0.750, 0.000)
Ag (0.250, 0.250, 0.500)
Ag (0.750, 0.250, 0.000)
Ag (0.250, 0.250, 0.000)
Ag (0.750, 0.750, 0.500)

## Properties
Total DFT energy (no corrections)   -2.60 eV per atom

Here is a relaxed structure of Cs2RbInCl5 from the Alexandria database. Energies are from PBE-GGA.

Hope it all works out for you.
My club aims for between 100 and 200 new white belt enrolments every 3 months , obviously they dont all stick it out as martial arts has a large drop out rate. Over the last year that number has been down slightly , but very few people over about 5th gup have stopped coming so the 'regulars' have all maintained enrolment so the numbers overall have pretty much stayed the same. The particular class I train at has about 40 students and of those about 25 are black belt or higher. I have only seen a couple of new white belts come along to try it out but no one has stopped coming so we maintain between 40 and 50 regularly.
I've had a few new students but am not sure the tide is turning yet. We'd love to be at 200-300 students!

Dancingalone, congratulations on your new opportunity!
I gained a few new ones this week and we just moved to a higher traffic town, so it is looking up for my school. I am not sure how good it will get, but I want my students to get the best student teacher ratio that I can have for them. On the other hand, I would love to pick up another 15-20 students over the next few months. I am thinking of diversifying my programs to make the programs better suited for the different types of students, mainly the 18-36YO males that are wanting to get in great shape and fight in the kickboxing ring.
I've had a few new students but am not sure the tide is turning yet. We'd love to be at 200-300 students!

Dancingalone, congratulations on your new opportunity!

Kudos and good to hear you are getting new students despite the steady drumbeat of bad economic news we keep hearing about Michigan. The interesting thing is I've had some serious inquiries from two people who've recently moved to St. Louis from your great state.
What have you all done to make yourselves more marketable? What are you doing to market your school to the public?

I would be interested in hearing. Any ideas would be greatly appreciated.
What have you all done to make yourselves more marketable? What are you doing to market your school to the public?

I would be interested in hearing. Any ideas would be greatly appreciated.
First and foremost we try to retain all the students we already have , that way at the very least we maintain our current number of students. To get new students the most successful way is doing demos at schools during the lunch break , thats a sure way to sign up some new students.
Well this past week was a little better, we sighned up four new students and had three come back. I sure hope it continues.